(Material)
-- begin --
Computed, not measured: a relaxed Ni5Rh crystal at the PBE-GGA level of DFT.

a = 2.5697 Å, b = 12.2878 Å, c = 2.5697 Å
α = 90.00°, β = 60.00°, γ = 90.00°
Positions (direct):
Ni (0.0000, 0.4957, 0.0000)
Ni (0.6667, 0.6583, 0.6667)
Ni (0.6667, 0.1710, 0.6667)
Ni (0.0000, 0.0083, 0.0000)
Ni (0.3333, 0.3333, 0.3333)
Rh (0.3333, 0.8333, 0.3333)

E_form   52 meV per atom

* * * * *

(1)
## Sc6InTe3As2 (GGA-PBE)

Data for a relaxed structure of Sc6InTe3As2.

## Properties
- Formation energy from raw total energies: -13.0 eV per formula unit
- Raw total energy: -0.2219 Ha/atom

Lattice parameters (Å, degrees): 17.7860 4.0023 8.2823 90.00 103.71 90.00
Space group C2/m (No. 12)
Asymmetric unit:
Sc 0.0094 0.0000 0.2538 [4 per cell]
Sc 0.1674 0.5000 0.1102 [4 per cell]
Sc 0.1756 0.5000 0.5663 [4 per cell]
In 0.0000 0.5000 0.0000 [2 per cell]
Te 0.0000 0.5000 0.5000 [2 per cell]
Te 0.1643 0.0000 0.8327 [4 per cell]
As 0.1681 0.0000 0.3374 [4 per cell]


(2)
## InAs2Se (GGA-PBE)

Data for a relaxed structure of InAs2Se.

## Properties
- Formation energy from raw total energies: 0.8 eV per formula unit
- Relative energy among the computed polymorphs: 328 meV/atom
- Raw total energy: -0.1356 Ha/atom

Lattice parameters (Å, degrees): 3.8112 3.8112 15.3480 90.00 90.00 90.00
Space group I4/mmm (No. 139)
Asymmetric unit:
In 0.0000 0.0000 0.0000 [2 per cell]
As 0.0000 0.5000 0.2500 [4 per cell]
Se 0.0000 0.0000 0.5000 [2 per cell]


(3)
## InAs2Se (GGA-PBE)

Data for a relaxed structure of InAs2Se.

## Properties
- Formation energy from raw total energies: 0.8 eV per formula unit
- Relative energy among the computed polymorphs: 329 meV/atom
- Raw total energy: -0.1356 Ha/atom

Lattice parameters (Å, degrees): 3.8165 3.8165 7.2220 90.00 90.00 90.00
Space group P4/mmm (No. 123)
Asymmetric unit:
In 0.0000 0.0000 0.0000 [1 per cell]
As 0.0000 0.5000 0.5000 [2 per cell]
Se 0.5000 0.5000 0.0000 [1 per cell]

* * * * *

(1)
First-principles (PBE) data for crystalline Hf2Be2Si at its relaxed geometry, as listed in the Alexandria database.

Lattice parameters (Å, degrees): 3.7096 5.1369 8.5482 84.29 77.47 68.83
Closest atoms and distances in Å follow each position.
Positions (direct):
Be 0.0370 0.3420 0.5839  1 Be 2.04, 2 Si 2.18
Hf 0.3001 0.7429 0.6569  7 Be 2.75-2.92, 4 Si 2.75-2.84
Hf 0.8991 0.2943 0.9076  6 Be 2.63-2.76, 2 Si 2.73
Be 0.9630 0.6580 0.4161  1 Be 2.04, 2 Si 2.18
Be 0.6209 0.8700 0.8881  1 Si 2.22, 1 Be 2.27
Be 0.3791 0.1300 0.1119  1 Si 2.22, 1 Be 2.27
Hf 0.1009 0.7057 0.0924  6 Be 2.63-2.76, 2 Si 2.73
Si 0.5753 0.1684 0.6809  3 Be 2.18-2.22
Hf 0.6999 0.2571 0.3431  7 Be 2.75-2.92, 4 Si 2.75-2.84
Si 0.4247 0.8316 0.3191  3 Be 2.18-2.22

For the formation energy without anion corrections, the calculation gives -212 kJ/mol of formula units. The offset from the most stable computed form comes out at 0 meV/atom. As for the space group: C2/m (12). The calculation puts the total energy at -6.9965 eV per atom.


(2)
First-principles (PBE) data for crystalline HfBe3Si at its relaxed geometry, as listed in the Alexandria database.

Lattice parameters (Å, degrees): 4.1023 4.1023 4.1023 90.00 90.00 90.00
Closest atoms and distances in Å follow each position.
Positions (direct):
Be 0.5000 0.0000 0.0000  2 Si 2.05
Be 0.0000 0.0000 0.5000  2 Si 2.05
Be 0.0000 0.5000 0.0000  2 Si 2.05
Si 0.0000 0.0000 0.0000  6 Be 2.05
Hf 0.5000 0.5000 0.5000  12 Be 2.90

For the formation energy without anion corrections, the calculation gives 311 kJ/mol of formula units. The offset from the most stable computed form comes out at 0 meV/atom. As for the space group: Pm-3m (221). The calculation puts the total energy at -4.6671 eV per atom.


(3)
First-principles (PBE) data for crystalline Hf3Be3Si2 at its relaxed geometry, as listed in the Alexandria database.

Lattice parameters (Å, degrees): 3.6518 5.1480 13.4042 90.00 90.00 110.77
Closest atoms and distances in Å follow each position.
Positions (direct):
Be 0.4267 0.8533 0.9473  1 Be 2.00, 2 Si 2.16
-- stop --

(What to do)
Now repeat the part of the lines earlier on that starts with the line with "Sc6InTe3As2 (GGA-PBE)" and stops after the one with "0.5753 0.1684".

(Result)
## Sc6InTe3As2 (GGA-PBE)

Data for a relaxed structure of Sc6InTe3As2.

## Properties
- Formation energy from raw total energies: -13.0 eV per formula unit
- Raw total energy: -0.2219 Ha/atom

Lattice parameters (Å, degrees): 17.7860 4.0023 8.2823 90.00 103.71 90.00
Space group C2/m (No. 12)
Asymmetric unit:
Sc 0.0094 0.0000 0.2538 [4 per cell]
Sc 0.1674 0.5000 0.1102 [4 per cell]
Sc 0.1756 0.5000 0.5663 [4 per cell]
In 0.0000 0.5000 0.0000 [2 per cell]
Te 0.0000 0.5000 0.5000 [2 per cell]
Te 0.1643 0.0000 0.8327 [4 per cell]
As 0.1681 0.0000 0.3374 [4 per cell]


(2)
## InAs2Se (GGA-PBE)

Data for a relaxed structure of InAs2Se.

## Properties
- Formation energy from raw total energies: 0.8 eV per formula unit
- Relative energy among the computed polymorphs: 328 meV/atom
- Raw total energy: -0.1356 Ha/atom

Lattice parameters (Å, degrees): 3.8112 3.8112 15.3480 90.00 90.00 90.00
Space group I4/mmm (No. 139)
Asymmetric unit:
In 0.0000 0.0000 0.0000 [2 per cell]
As 0.0000 0.5000 0.2500 [4 per cell]
Se 0.0000 0.0000 0.5000 [2 per cell]


(3)
## InAs2Se (GGA-PBE)

Data for a relaxed structure of InAs2Se.

## Properties
- Formation energy from raw total energies: 0.8 eV per formula unit
- Relative energy among the computed polymorphs: 329 meV/atom
- Raw total energy: -0.1356 Ha/atom

Lattice parameters (Å, degrees): 3.8165 3.8165 7.2220 90.00 90.00 90.00
Space group P4/mmm (No. 123)
Asymmetric unit:
In 0.0000 0.0000 0.0000 [1 per cell]
As 0.0000 0.5000 0.5000 [2 per cell]
Se 0.5000 0.5000 0.0000 [1 per cell]

* * * * *

(1)
First-principles (PBE) data for crystalline Hf2Be2Si at its relaxed geometry, as listed in the Alexandria database.

Lattice parameters (Å, degrees): 3.7096 5.1369 8.5482 84.29 77.47 68.83
Closest atoms and distances in Å follow each position.
Positions (direct):
Be 0.0370 0.3420 0.5839  1 Be 2.04, 2 Si 2.18
Hf 0.3001 0.7429 0.6569  7 Be 2.75-2.92, 4 Si 2.75-2.84
Hf 0.8991 0.2943 0.9076  6 Be 2.63-2.76, 2 Si 2.73
Be 0.9630 0.6580 0.4161  1 Be 2.04, 2 Si 2.18
Be 0.6209 0.8700 0.8881  1 Si 2.22, 1 Be 2.27
Be 0.3791 0.1300 0.1119  1 Si 2.22, 1 Be 2.27
Hf 0.1009 0.7057 0.0924  6 Be 2.63-2.76, 2 Si 2.73
Si 0.5753 0.1684 0.6809  3 Be 2.18-2.22